Could you transcribe the lines further down from the one with "1.503298 0.0" to the one with "0.33" unchanged?

Entry 1:
30
Properties=species:S:1:pos:R:3:forces:R:3:mulliken_charge:R:1 method="wB97M-V/def2-TZVPD" smiles="Cc1ccc(C2=NC(=O)/C(=C/c3ncc[nH]3)S2)cc1" homo_lumo_gap_ev=7.32 spin_multiplicity=1 e_homo_ev=-8.51
C -2.861635 0.081181 -5.137970 -0.5 -0.4 0.2 -1.34
C -2.041422 -0.098517 -3.900553 1.3 -0.6 -1.0 0.94
C -0.741956 -0.635895 -4.061301 0.4 0.5 3.0 -0.72
C 0.086013 -0.820429 -2.907722 -1.9 0.0 -0.9 -0.57
C -0.389612 -0.508963 -1.597978 0.0 0.3 -1.7 0.68
C 0.476786 -0.759705 -0.452563 1.9 -1.1 -0.2 0.59
N 1.574589 -1.490944 -0.552137 -2.3 1.5 -0.8 -0.52
C 2.222556 -1.580451 0.652318 2.5 -3.1 0.0 -0.27
O 3.137418 -2.387625 0.842850 -0.9 1.3 -0.2 -0.60
C 1.666319 -0.765534 1.687980 -0.3 1.4 3.4 0.73
C 2.203478 -0.558687 2.936880 -0.4 0.5 -1.3 -0.29
C 1.779563 0.398219 3.966082 -0.6 0.2 0.9 0.34
N 2.619624 0.725271 4.929578 -0.9 1.2 0.7 -0.60
C 1.951513 1.688318 5.720356 0.6 -1.0 -1.1 -0.35
C 0.694661 1.909879 5.233488 -0.9 0.5 0.2 -0.27
N 0.564614 1.072276 4.144923 0.5 -0.5 -1.0 0.02
S 0.158118 -0.082706 1.142499 -0.3 0.3 -0.3 -0.43
C -1.663237 0.054663 -1.506747 -0.6 -0.6 -0.3 -0.44
C -2.506845 0.187114 -2.637823 0.8 0.0 1.8 -0.73
H -3.596978 -0.734204 -5.185322 0.0 0.3 -0.1 0.29
H -2.266603 0.044373 -6.050219 0.0 0.0 0.1 0.36
H -3.387223 1.027319 -5.093318 -0.2 0.1 -0.1 0.37
H -0.361378 -0.925504 -5.019549 0.1 0.0 -0.4 0.35
H 1.031106 -1.294611 -3.060732 0.5 -0.1 0.2 0.45
H 3.172478 -1.000700 3.194927 -0.4 0.0 -0.3 0.44
H 2.436815 2.161040 6.557461 0.0 -0.1 0.0 0.40
H -0.127189 2.606867 5.593047 1.3 -1.2 -0.7 0.34
H -0.219425 0.986089 3.498100 0.3 0.3 0.6 0.15
H -2.077465 0.257464 -0.519026 0.0 0.1 -0.2 0.31
H -3.534684 0.444402 -2.417527 0.0 0.3 -0.4 0.36

=====

Entry 2:
14
Properties=species:S:1:pos:R:3:forces:R:3:mulliken_charge:R:1 method="wB97M-V/def2-TZVPD" homo_lumo_gap_ev=9.97 spin_multiplicity=1 e_homo_ev=-13.36 total_charge=+1
S -1.888146 -3.082814 1.268263 0.2 -0.1 0.4 -0.38
H -1.554967 -3.422838 2.537367 -0.1 0.1 -0.4 0.20
H -3.202301 -3.175010 1.503298 0.0 0.1 0.0 0.20
C 0.558676 1.675736 -0.340612 0.5 0.2 -0.1 -0.13
C 0.886593 0.482541 -0.841499 -0.3 -0.2 0.2 -0.26
N 0.557433 -0.713294 -0.038248 -0.2 -0.7 -0.1 -0.31
N 0.820337 2.888519 -0.918974 -0.7 -0.3 -0.2 -0.47
H 0.135843 1.723580 0.657773 0.0 0.1 0.0 0.26
H 1.300490 0.241861 -1.806137 0.1 0.2 0.0 0.34
H 1.349748 -1.186234 0.411509 0.1 0.3 -0.1 0.33
H -0.131332 -0.528416 0.698482 0.0 0.0 -0.1 0.34
H 0.130219 -1.438204 -0.628253 -0.1 0.2 0.1 0.36
H 0.796941 2.899939 -1.928795 0.4 -0.1 -0.1 0.26
H 0.240467 3.634634 -0.574175 0.1 0.2 0.2 0.28

=====

Entry 3:
8
Properties=species:S:1:pos:R:3:forces:R:3:mulliken_charge:R:1 method="wB97M-V/def2-TZVPD" homo_lumo_gap_ev="8.64 / 8.64" spin_multiplicity=1 e_homo_ev="-9.92 / -9.93"
N -2.145455 0.510998 -0.122140 -2.1 2.0 -0.6 0.56
N 0.481134 0.403136 0.341368 -1.6 0.2 1.2 -0.08
N 0.136248 -0.728785 -0.009584 -0.2 0.1 -1.1 0.73
O -1.649870 1.477614 -0.601978 0.2 -1.1 0.2 -0.40
O -1.623122 -0.594375 0.112683 2.3 -1.2 0.0 -0.24
O 0.664628 -1.677698 -0.554928 -0.3 0.4 0.7 -0.56
O 1.751189 0.689084 0.511957 2.9 -1.3 -0.5 -0.37
H 2.385250 -0.079975 0.322622 -1.3 1.0 0.0 0.36

=====

Relative energy (zero: lowest compared OMol25 entry of this formula, charge and spin) across the listed records, respectively: 0.000 1.173 3.576 eV.
Molar mass across the listed records, respectively: 269.3 93.2 107.0 g mol⁻¹.
Calculated total energy across the listed records, respectively: -32049.0504 -16028.2342 -12667.1396 eV.


# 1
The following is a DFT calculation (the ωB97M-V functional and the def2-TZVPD basis) of a molecular structure, C4HDyLiO4 in a non-equilibrium geometry.

Calculated values
2S+1: 7
Energy, eV: -36624.229
E_LUMO (spin up / spin down), eV: -8.52 / -9.60
Net charge: +2

```
11
Properties=species:S:1:pos:R:3:mulliken_spin:R:1
O 0.34 -2.66 -1.50 0.00
C 0.08 -3.49 -2.22 0.00
C 1.08 1.52 -0.06 0.00
C 2.04 1.19 0.61 -0.01
H 3.05 0.92 0.90 0.00
Li 0.87 -0.97 -0.36 -0.02
O -1.83 1.37 1.24 0.03
C -1.12 1.02 0.28 -0.38

H -3.202301 -3.175010 1.503298 0.0 0.1 0.0 0.20
C 0.558676 1.675736 -0.340612 0.5 0.2 -0.1 -0.13
C 0.886593 0.482541 -0.841499 -0.3 -0.2 0.2 -0.26
N 0.557433 -0.713294 -0.038248 -0.2 -0.7 -0.1 -0.31
N 0.820337 2.888519 -0.918974 -0.7 -0.3 -0.2 -0.47
H 0.135843 1.723580 0.657773 0.0 0.1 0.0 0.26
H 1.300490 0.241861 -1.806137 0.1 0.2 0.0 0.34
H 1.349748 -1.186234 0.411509 0.1 0.3 -0.1 0.33